The most commonly affected areas include these joints:

Attached: materials data >
********
# 1
## Cs2AgI3 (r²SCAN)

Data for a geometry-optimized Cs2AgI3 structure.

Energy of formation from the pure elements: -1.30 eV/atom
SG: Pnma (62)
Magnetization: 0.0 μB/f.u.

Geometry as POSCAR:
```
Cs2AgI3
1.0
14.7587 0.0000 0.0000
0.0000 5.0004 0.0000
0.0000 0.0000 15.4923
Cs Ag I
8 4 12
Direct
0.0136 0.2500 0.1755 Cs
0.1756 0.2500 0.5175 Cs
0.3244 0.7500 0.0175 Cs
0.4864 0.7500 0.6755 Cs
0.5136 0.2500 0.3245 Cs
0.6756 0.2500 0.9825 Cs
0.8244 0.7500 0.4825 Cs
0.9864 0.7500 0.8245 Cs
0.2446 0.7500 0.3055 Ag
0.2554 0.2500 0.8055 Ag
0.7446 0.7500 0.1945 Ag
0.7554 0.2500 0.6945 Ag
0.0595 0.7500 0.3608 I
0.1349 0.2500 0.9494 I
0.2239 0.7500 0.7128 I
0.2761 0.2500 0.2128 I
0.3651 0.7500 0.4494 I
0.4405 0.2500 0.8608 I
0.5595 0.7500 0.1392 I
0.6349 0.2500 0.5506 I
0.7239 0.7500 0.7872 I
0.7761 0.2500 0.2872 I
0.8651 0.7500 0.0506 I
0.9405 0.2500 0.6392 I
```

=====

# 2
## ErMo6S8 (r²SCAN)

Data for a geometry-optimized ErMo6S8 structure.

Energy of formation from the pure elements: -1.04 eV/atom
SG: R-3 (148)
Magnetization: 0.0 μB/f.u.

Geometry as POSCAR:
```
ErMo6S8
1.0
4.5587 2.6320 3.7585
-4.5587 2.6320 3.7585
0.0000 -5.2640 3.7585
Er Mo S
1 6 8
Direct
0.0000 0.0000 0.0000 Er
0.2257 0.4202 0.5597 Mo
0.4202 0.5597 0.2257 Mo
0.4403 0.7743 0.5798 Mo
0.5597 0.2257 0.4202 Mo
0.5798 0.4403 0.7743 Mo
0.7743 0.5798 0.4403 Mo
0.1272 0.7521 0.3674 S
0.2371 0.2371 0.2371 S
0.2479 0.6326 0.8728 S
0.3674 0.1272 0.7521 S
0.6326 0.8728 0.2479 S
0.7521 0.3674 0.1272 S
0.7629 0.7629 0.7629 S
0.8728 0.2479 0.6326 S
```

=====

This record from the Materials Project database describes a relaxed K2NaInF6 crystal. The functional is PBE.

Structure (POSCAR):
```
K2NaInF6
1.0
4.923 -1.561 3.383
5.480 -0.825 -2.722
4.543 4.082 0.907
K F Na In
2 6 1 1
direct
0.750 0.750 0.750
0.250 0.250 0.250
0.759 0.759 0.241
0.241 0.759 0.759
0.241 0.241 0.759
0.759 0.241 0.241
0.759 0.241 0.759
0.241 0.759 0.241
0.500 0.500 0.500
0.000 0.000 0.000
```

Computed properties:
**M_tot**: 0.0 μB/cell
**Energy of formation from the pure elements**: -2.996 eV per atom
********

KneesHipsHands and fingersSpine

Osteoarthritis rarely affects the elbows, wrists, and ankles. Most people with osteoarthritis are middle-aged or older because the condition occurs slowly over time, developing as a result of normal wear and tear on the joints. It rarely affects people younger than age 40, and at least 80 percent of people over age 55 have X-ray evidence of the disorder, even if they present no clear symptoms. But osteoarthritis can occur and cause symptoms in younger adults due to sports injuries, obesity, and other types of arthritis, which encompass various inflammatory joint conditions. (1)

Early Signs and Symptoms of Osteoarthritis

Osteoarthritis symptoms can vary from person to person, and some people don’t experience symptoms at first. Common symptoms of osteoarthritis include these issues:

Joint Pain It often gets worse with activity and better with rest (though exercise is an important part of arthritis therapy). Painful joints may be tender to the touch. If you have severe osteoarthritis, the joint pain may also occur when resting and at night.Stiffness People most commonly experience stiffness associated with osteoarthritis in the morning. The stiffness usually gets better within 30 minutes of getting out of bed, but it can return throughout the day if the joint remains inactive for too long.Swelling Excess fluid in the joints may cause swelling.Crepitus You may experience a crackling or grating sensation when moving an affected joint. This is called crepitus, and it may occur because the normally smooth surfaces inside the joint are becoming rough as the bones rub together.Bony Protuberances You may experience bony outgrowths or bone spurs under the skin near joints. In many people, these protuberances grow bigger over time. (1)Loss of Flexibility Over time, you may experience a loss of flexibility in the affected joint. (2)

Joint-Specific Osteoarthritis Symptoms

Osteoarthritis symptoms may vary depending on the joints involved. For example, crepitus often occurs with knee osteoarthritis. The knee may also occasionally buckle or give away, and eventually, it may become bent and bowed. (3,4) Hand osteoarthritis may cause numbness in the fingers and difficulty performing motions that require gripping and twisting, such as opening jars. Over time, you may lose the ability to completely open and close your fingers. (6) If you have hip osteoarthritis, you may experience seemingly non-hip-related symptoms, including pain that starts in the groin or thigh and radiates to your buttocks or knee. You may also experience difficulties walking or develop limp in your walk due to a decreased range of motion in the hip. (7) Arthritis of the spine, on the other hand, can cause feelings of weakness, tingling, or numbness in the arms and legs if the spinal cord is compressed. (8)

Osteoarthritis Testing and Diagnosis

Diagnosis of osteoarthritis typically begins with your doctor getting your medical history. You will be asked when your symptoms started, how they’ve changed over time, what other symptoms they are associated with, if you have morning stiffness, and what other medical conditions you or close family members have. It’s important to let your doctor know if anyone else in your family has osteoarthritis: A family history of the disease is a risk factor for osteoarthritis. Most people with primary osteoarthritis (osteoarthritis that develops from normal wear and tear instead of a specific cause) have family members with the condition. (9) You should also tell your doctor if you’re experiencing any psychological distress, including anxiety, insomnia, depression, weight loss, irritability, and increased forgetfulness and difficulty concentrating. (3) Your doctor will then give you a physical examination to look for these signs of osteoarthritis or other ailments:

Tenderness of the jointCrepitusBony enlargement of the joint and joint deformitiesRestricted joint range of motion and pain during movementInstability of the joint that causes it to give awayAltered gaitMuscle atrophy or weaknessJoint swelling from fluid (3)

Tests for Osteoarthritis

Your doctor will use a number of tools, including imaging and laboratory tests, to help determine whether you have osteoarthritis: X-rays X-rays can help determine how much joint damage there is and how the joint is changing over time. They can also show problems such as cartilage loss, bone damage, and bone spurs. X-rays may appear normal during the early stages of osteoarthritis. Magnetic Resonance Imaging (MRI) This is another type of imaging. It is used to examine cartilage, ligaments, and tendons for damage that can’t be seen on an X-ray. Joint Aspiration In this test, your doctor will numb the painful area and insert a needle into the joint to take a fluid sample. A laboratory technician will examine the fluid for signs of crystals, infection, or inflammation. This test can be used to help rule out other medical conditions or forms of arthritis, such as gout. (2,10) Arthroscopy In this surgical procedure, your surgeon will numb the area and then insert a small viewing tool (called an arthroscope) into the joint through several small incisions. Arthroscopy was once commonly used as a diagnostic tool for knee osteoarthritis but now is typically used only to determine the extent of cartilage damage (for this application, arthroscopy may be better than an MRI). (11)